Here are 4 ways to protect crops

Timing — in everything from planting to harvesting — is crucial in crop farming. []

(Someone pasted molecular data at this point)
'''
Molecular formula: C44H100N2O24P6
Method: DFT, ωB97M-V with the def2-TZVPD basis set

Properties
Kohn-Sham gap: 7.6 eV
total charge: 0
energy: -155077.8477 eV

Cartesian coordinates (Å):
1 P -6.819 4.666 4.834
2 P 1.111 9.193 1.652
3 P -6.544 8.544 0.665
4 P -2.099 10.994 8.810
5 P -4.579 5.553 9.606
6 P -2.236 13.796 1.342
7 O -0.368 8.585 1.094
8 O 2.333 8.647 0.965
9 O -2.802 11.827 9.789
10 O -7.791 5.393 6.018
11 O -6.123 5.440 10.037
12 O -4.864 5.861 8.027
13 O -6.242 5.687 3.921
14 O -3.745 6.520 10.401
15 O -0.653 11.562 8.264
16 O -3.074 10.763 7.526
17 O -6.020 7.122 0.128
18 O -5.851 3.761 5.708
19 O -5.986 8.574 2.270
20 O -3.461 14.632 1.986
21 O -1.912 12.702 2.443
22 O -7.899 3.689 4.124
23 O 0.991 10.807 1.520
24 O -1.740 9.448 9.346
25 O -6.190 9.712 -0.250
26 O -8.058 8.302 0.904
27 O -2.758 13.344 0.023
28 O -3.972 3.979 9.521
29 O 0.876 8.927 3.198
30 O -0.880 14.587 1.206
31 N -3.382 6.479 2.954
32 N 0.095 4.177 2.412
33 C -2.163 4.109 2.429
34 C -3.759 6.705 4.239
35 C -4.255 5.475 0.292
36 C -0.278 9.521 3.805
37 C -8.997 9.362 0.718
38 C 1.798 11.873 -0.521
39 C -2.626 3.642 9.718
40 C -0.360 9.008 5.268
41 C -3.501 8.014 4.573
42 C -4.638 6.880 -0.237
43 C -8.099 6.767 5.913
44 C -9.578 9.644 2.123
45 C -3.642 3.499 4.515
46 C -2.365 10.547 3.149
47 C -0.500 7.206 0.989
48 C -2.982 8.551 3.456
49 C -3.110 17.034 2.613
50 C -2.906 11.953 2.977
51 C -1.657 5.052 3.355
52 C -6.082 7.793 4.578
53 C -2.861 8.740 11.506
54 C -8.382 2.558 4.823
55 C -3.682 16.027 1.594
56 C -4.095 7.979 6.828
57 C -2.740 8.603 9.960
58 C 0.243 6.456 -0.100
59 C -2.768 10.037 6.382
60 C -9.427 7.007 6.645
61 C -8.518 1.333 3.939
62 C -5.287 7.219 7.501
63 C -6.730 4.128 9.874
64 C -5.913 7.445 3.034
65 C -6.679 3.187 11.216
66 C -0.263 15.157 2.399
67 C -0.322 5.051 3.391
68 C -2.652 2.313 10.299
69 C 0.371 13.940 8.112
70 C -0.704 12.882 7.662
71 C -4.848 2.856 5.225
72 C -4.109 9.958 5.707
73 C -1.040 3.599 1.800
74 C 1.028 14.385 2.647
75 C 2.036 11.618 1.008
76 C -2.921 7.675 2.430
77 H -7.602 3.261 11.791
78 H -4.744 16.258 1.511
79 H -3.701 8.887 9.530
80 H -1.204 9.255 3.294
81 H 0.705 13.351 2.766
82 H -9.774 8.932 0.086
83 H -3.245 10.095 3.607
84 H 1.239 13.381 8.462
85 H -7.728 4.345 9.495
86 H -9.164 1.514 3.080
87 H -0.443 12.644 6.631
88 H -3.172 3.866 2.129
89 H -8.964 0.407 4.301
90 H 2.996 11.127 1.166
91 H -3.420 8.344 7.602
92 H -4.335 8.898 6.292
93 H -10.217 6.413 6.187
94 H -8.131 7.154 4.895
95 H -0.180 6.851 1.969
96 H 2.051 10.951 -1.045
97 H -1.745 1.729 10.458
98 H -2.350 9.038 6.506
99 H -0.934 2.934 0.956
100 H -3.499 9.573 11.803
101 H -4.101 9.470 4.732
102 H -3.951 4.006 3.601
103 H -3.755 16.853 3.473
104 H -3.165 4.229 5.168
105 H -8.654 10.209 0.124
106 H -3.618 8.458 5.550
107 H -6.020 7.092 6.704
108 H -4.829 4.645 -0.119
109 H -2.625 9.571 3.452
110 H -4.452 2.414 6.139
111 H -4.566 5.418 1.335
112 H -3.362 16.206 0.568
113 H -3.348 7.834 11.865
114 H -3.033 18.103 2.413
115 H -8.888 10.290 2.666
'''
(End of the molecular data)

Farmers worry a lot about the fate of the crops that they plant. A good deal of time and money are invested into planting these crops.

The last thing farmers want to see is a pest destroying their crop before it yields anything.

These records of molecules were left in the page by mistake =
-- begin --
## 1
DFT (ωB97M-V with the def2-TZVPD basis set) results for a 2-piece molecular cluster, CH6NO overall.

CARTESIAN COORDINATES (ANGSTROEM)
O (0.241, -1.905, -0.458)
H (0.220, -0.123, -0.097)
H (0.465, -2.600, -1.087)
H (-0.223, -2.341, 0.266)
C (-0.104, 1.598, 0.808)
N (-0.196, 0.822, -0.192)
H (0.655, 1.387, 1.563)
H (-0.328, 2.658, 0.760)
H (-0.317, 1.028, -1.185)

## Properties
HOMO in Eh: -0.6079
2S+1: 1
Kohn-Sham gap in eV: 10.6
Charge: +1

---

## 2
DFT (ωB97M-V with the def2-TZVPD basis set) results for a 2-piece molecular cluster, CH6NO overall.

CARTESIAN COORDINATES (ANGSTROEM)
C (0.336, -0.538, -1.169)
N (1.445, -0.360, -0.586)
H (0.206, -0.652, -2.230)
H (-0.561, -0.570, -0.555)
H (1.467, -0.324, 0.429)
H (2.340, -0.146, -1.015)
H (-2.352, 0.808, 1.888)
H (-1.074, 1.486, 1.579)
O (-1.529, 0.653, 1.401)

## Properties
HOMO in Eh: -0.5743
2S+1: 1
Kohn-Sham gap in eV: 9.9
Charge: +1

---

2 comes first in stability; the runner-up is 0.220 eV higher.

----------

No. 1
88
Properties=species:S:1:pos:R:3 method="wB97M-V/def2-TZVPD" e_homo_ev=-7.85 homo_lumo_gap_ha=0.2825 mol_weight_g_mol=1069.704 e_above_lowest_kcal_mol=3.3
Na -1.35547 1.21097 -0.23444
C 2.43208 -0.36116 2.27064
C 2.31102 -1.78629 1.73080
C 0.86448 -2.25668 1.51831
Sb 0.07406 -1.92111 -0.45155
C -1.70331 -3.09603 -0.30064
C -2.82409 -2.69377 -1.01914
C -3.99557 -3.43867 -0.98944
C -4.05835 -4.59491 -0.22806
C -2.94638 -5.00566 0.49567
C -1.77500 -4.26326 0.45361
C 1.18398 -3.46540 -1.45100
C 2.06659 -4.32631 -0.80530
C 2.73037 -5.32411 -1.50894
C 2.51849 -5.47452 -2.87106
C 1.64353 -4.62072 -3.52850
C 0.98893 -3.62217 -2.82197
Sb 1.69323 1.15421 0.92609
C 3.32847 0.93828 -0.43533
C 4.64485 1.17004 -0.04183
C 5.69213 0.97210 -0.92983
C 5.43397 0.53588 -2.22333
C 4.12776 0.30683 -2.62764
C 3.08003 0.51270 -1.73773
C 2.48405 2.83522 1.98858
C 2.94333 2.76451 3.30041
C 3.40152 3.90293 3.95405
C 3.40598 5.12602 3.30115
C 2.94806 5.21009 1.99253
C 2.48519 4.07338 1.34519
H 3.48038 -0.11889 2.46049
H 1.88520 -0.27055 3.21170
H 2.79002 -2.45799 2.45137
H 2.90112 -1.87935 0.81163
H 0.17876 -1.74464 2.19532
H 0.76908 -3.32614 1.71290
H -2.79696 -1.77385 -1.59580
H -4.86324 -3.10606 -1.54544
H -4.97245 -5.17373 -0.19316
H -2.99184 -5.90716 1.09415
H -0.91436 -4.60601 1.01686
H 2.24758 -4.22856 0.25862
H 3.41367 -5.98519 -0.99026
H 3.03419 -6.25250 -3.41932
H 1.47314 -4.73163 -4.59223
H 0.31019 -2.96063 -3.35195
H 4.85683 1.51737 0.96422
H 6.71106 1.15811 -0.61357
H 6.25167 0.37830 -2.91515
H 3.92172 -0.03182 -3.63531
H 2.06035 0.34038 -2.06592
H 2.94963 1.81777 3.82774
H 3.75608 3.83161 4.97478
H 3.76469 6.01198 3.80940
H 2.95283 6.16192 1.47576
H 2.12678 4.15253 0.32335
C -4.76547 2.81828 -2.58462
N -3.45580 2.50654 -3.15167
C -3.46579 1.39680 -4.08292
C -2.29895 2.72950 -2.43965
N -1.24744 1.99775 -2.44813
N -2.33840 3.93834 -1.73531
C -1.72232 4.27937 -0.53821
N -2.05457 5.56488 -0.13943
N -0.92647 3.49921 0.07654
H -5.36691 3.39138 -3.29240
H -4.66607 3.37484 -1.65709
-- stop --

Pests come in many forms: diseases, weeds, insects and even vertebrates.

To protect crops from pests, Integrated Pest Management is employed. This system starts with correctly identifying pests or potential pests in a crop or field. Pest populations are then monitored. When pests reach or exceed the economic threshold, a plan is formulated and implemented to control the pest.

The economic threshold is the density of pest population at which the losses caused by the pest are equal to the cost of the control measures.

Unrelated to this entry: records of molecules
-- begin --
ORCA calculation (the ωB97M-V functional and the def2-TZVPD basis) on C39H50AsCuGeN3O2Si3 as an isolated structure in a non-equilibrium geometry.

molar mass: 888.2 g/mol
HOMO energy: -10.337 eV
ΔE to the lowest compared entry with this formula, charge and spin: 35.59 kcal/mol

Geometry as ORCA input:
```
! wB97M-V def2-TZVPD RIJCOSX def2/J DEFGRID3
* xyz 1 1
Cu 0.53576 0.19561 0.39472
O 1.79767 -3.62395 0.64849
C 1.27940 -2.53989 0.76415
N 0.95736 -1.67684 -0.27441
C 1.81304 -1.67749 -1.35775
O 2.62102 -2.53469 -1.63032
C 1.72916 -0.42937 -2.19249
C 2.57042 -0.30281 -3.29143
C 2.53568 0.86795 -4.03617
C 1.68184 1.88144 -3.63364
C 0.88774 1.66796 -2.51626
N 0.89540 0.54260 -1.81690
C 0.95303 -2.00464 2.13115
C 1.46697 -2.66119 3.24441
C 1.13358 -2.19455 4.50279
C 0.29988 -1.09104 4.60198
C -0.14652 -0.48796 3.43988
N 0.17891 -0.92362 2.22820
H 3.24383 -1.11078 -3.53080
H 3.17019 0.98702 -4.90191
H 1.64277 2.82616 -4.15020
H 0.21997 2.44142 -2.16533
H 2.10151 -3.52098 3.10600
H 1.49156 -2.69182 5.38951
H 0.00776 -0.70469 5.56357
H -0.80758 0.37016 3.47926
C -1.92441 -4.88381 -3.39295
Si -0.31343 -4.19694 -2.61559
C 0.53474 -5.43489 -1.45608
C 0.86959 -3.63200 -4.00250
Ge -1.07840 -2.31409 -1.14093
Si -2.39339 -2.97705 0.88942
C -3.11333 -1.36228 1.62220
C -1.51731 -4.05755 2.20375
C -3.86127 -3.98645 0.19264
Si -2.24615 -0.44931 -2.38473
C -1.58331 -0.48272 -4.18313
C -2.38060 1.36675 -1.77730
C -4.04603 -1.11764 -2.39275
H -1.72105 -5.75922 -4.00130
H -2.40004 -4.14788 -4.03478
H -2.64677 -5.17834 -2.63890
H 0.68368 -6.40297 -1.92318
H -0.03558 -5.58090 -0.54129
H 1.50898 -5.04606 -1.17205
H 0.80928 -4.29025 -4.86375
H 1.89316 -3.65785 -3.64307
H 0.66605 -2.62114 -4.34624
H -2.33902 -0.73163 2.04276
H -3.84302 -1.55688 2.40217
H -3.60858 -0.79712 0.83748
H -0.53445 -4.38163 1.87927
H -2.09121 -4.94942 2.42477
H -1.39204 -3.50735 3.12995
H -4.40872 -3.41040 -0.54548
H -4.56369 -4.26446 0.97333
H -3.52375 -4.90326 -0.28118
H -0.52852 -0.23170 -4.22479
H -2.11307 0.22557 -4.81330
H -1.71109 -1.46648 -4.62478
H -1.53066 1.68065 -1.17904
H -3.27479 1.50409 -1.17871
H -2.45460 2.03505 -2.62978
H -4.06295 -2.17986 -2.61874
H -4.65919 -0.61708 -3.13670
H -4.53134 -0.97652 -1.43079
C 4.02241 3.17490 4.71530
C 4.37335 3.62027 3.45246
C 3.54398 3.38438 2.36892
C 2.33846 2.72020 2.55228
C 1.98609 2.28397 3.82643
C 2.82574 2.50293 4.90089
As 1.12323 2.28565 1.10616
C -0.54311 2.97888 1.80755
C -0.64222 4.14248 2.56310
C -1.87442 4.54308 3.05337
C -3.00906 3.79261 2.78612
C -2.91375 2.61791 2.05885
C -1.68221 2.20933 1.57875
C 1.71297 3.55568 -0.22689
C 1.03832 4.72746 -0.53346
C 1.54260 5.58744 -1.49333
C 2.73334 5.28903 -2.13174
C 3.40735 4.11266 -1.84193
C 2.88583 3.23748 -0.90793
H 4.67547 3.35877 5.55458
H 5.29778 4.15770 3.31147
H 3.84088 3.72523 1.38211
H 1.03874 1.77434 3.96481
H 2.54976 2.15627 5.88464
H 0.24678 4.72922 2.77919
H -1.95839 5.43893 3.65002
H -3.96955 4.11824 3.15448
H -3.79688 2.02129 1.88188
H -1.57950 1.27481 1.02549
-- stop --

They include:

•Physical control

•Cultural control

•Biological control

•Chemical control

Physical control is the most labor- and time-intensive. This method includes mowing, hand pulling weeds and using exclusion devices. Exclusion devices keep pests out of the field or off the crop. Examples of such devices include bird netting to keep birds out of crops, row covers to keep insects off crops and fencing to keep vertebrates out of fields.

Cultural controls are important. This method includes planting date, variety selection, fertility management and irrigation management. Variety selection is very important to successful farming. Farmers select varieties that are resistant to diseases and will grow well in our area. Planting date is also critical. This involves planting the crop at the right time to avoid certain pests that are known to be an issue.

Biological control is the use of living organisms to control pests. Examples include goats controlling kudzu, air potato beetles controlling air potato vine, or a virus controlling tropical soda apple. Care must be taken to ensure that off-target plants are not harmed by the biological control.

Last is chemical control. This is the use of pesticides to control pests. These pesticides can be synthetic or organic. Pesticide is not a dirty word. This is a tool that farmers can use to protect their crops (the crops that feed and clothe us). Pesticides are highly regulated. Pesticides that have low acute and chronic toxicity are preferred by both the farmer and the consumer. Farmers also must adhere to strict timing for pesticide applications to ensure that little to no pesticide residue is detected on the crop after it leaves the field.

In conclusion, much more than just chemicals go into protecting crops from pests. Starting with proper pest identification, farmers evaluate the best control measures for each specific pest. They scout the crops throughout the season to keep an eye on emerging pests and pest densities.

Pesticides are not cheap, so the decision to apply them to the crop is not taken lightly. When the decision is made to apply pesticides, they are applied with the safety of the farmer, consumer and environment in mind.

Jennifer Bearden is an agent at the University of Florida's Institute of Food and Agricultural Sciences Extension office in Crestview.

This article originally appeared on Crestview News Bulletin: Here are 4 ways to protect crops